┌──
No. 1
## CdHgPtI2 (GGA-PBE)

Data for a relaxed structure of CdHgPtI2.

Geometry as CIF:
```
data_CdHgPtI2
_chemical_formula_sum 'Cd1 Hg1 Pt1 I2'
_cell_length_a 5.890
_cell_length_b 5.890
_cell_length_c 5.228
_cell_angle_alpha 90.00
_cell_angle_beta 90.00
_cell_angle_gamma 90.00
_space_group_name_H-M_alt 'P 4/m m m'
_space_group_IT_number 123
_space_group_name_Hall '-P 4 2'
loop_
_atom_site_label
_atom_site_fract_x
_atom_site_fract_y
_atom_site_fract_z
Cd1 0.000 0.000 0.000
Hg1 0.500 0.500 0.500
Pt1 0.500 0.500 0.000
I1 0.000 0.500 0.500
```

- N(E_F) (states/eV/f.u.) = 5.104
- calculated volume (Å³/cell) = 181.3
- energy (eV for the cell shown) = -7.1

=====

No. 2
## Ba2CdCu (GGA-PBE)

Data for a relaxed structure of Ba2CdCu.

Geometry as CIF:
```
data_Ba2CdCu
_chemical_formula_sum 'Ba8 Cd4 Cu4'
_cell_length_a 8.998
_cell_length_b 8.998
_cell_length_c 7.994
_cell_angle_alpha 90.00
_cell_angle_beta 90.00
_cell_angle_gamma 90.00
_space_group_name_H-M_alt 'I -4 2 d'
_space_group_IT_number 122
_space_group_name_Hall 'I -4 2bw'
loop_
_atom_site_label
_atom_site_fract_x
_atom_site_fract_y
_atom_site_fract_z
Ba1 0.212 0.750 0.125
Cd1 0.000 0.000 0.500
Cu1 0.000 0.000 0.000
```

- N(E_F) (states/eV/f.u.) = 3.171
- energy relative to the elements (meV per atom) = 111
- calculated volume (Å³/cell) = 647.2
- energy (eV for the cell shown) = -33.6

=====

No. 3
## Li5H5Rh2 (GGA-PBE)

Data for a relaxed structure of Li5H5Rh2.

Geometry as CIF:
```
data_Li5H5Rh2
_chemical_formula_sum 'Li10 H10 Rh4'
_cell_length_a 9.328
_cell_length_b 2.984
_cell_length_c 7.852
_cell_angle_alpha 90.00
_cell_angle_beta 91.60
_cell_angle_gamma 90.00
_space_group_name_H-M_alt 'C 1 2/m 1'
_space_group_IT_number 12
loop_
_space_group_symop_operation_xyz
'x,y,z'
'-x,-y,-z'
'-x,y,-z'
'x,-y,z'
'x+1/2,y+1/2,z'
'-x+1/2,-y+1/2,-z'
'-x+1/2,y+1/2,-z'
'x+1/2,-y+1/2,z'
loop_
_atom_site_label
_atom_site_fract_x
_atom_site_fract_y
_atom_site_fract_z
Li1 0.000 0.000 0.000
Li2 0.139 0.000 0.551
Li3 0.223 0.500 0.829
H1 0.000 0.500 0.500
H2 0.044 0.000 0.763
H3 0.146 0.500 0.095
Rh1 0.059 0.500 0.283
```

- N(E_F) (states/eV/f.u.) = 2.311
- calculated volume (Å³/cell) = 218.5
- energy (eV for the cell shown) = -91.0

----------

1.
## ZnAg2Rh (GGA-PBE)

Data for a relaxed ZnAg2Rh crystal.

POSCAR file:
```
ZnAg2Rh
1.0
0.000 3.165 3.165
3.165 0.000 3.165
3.165 3.165 0.000
Zn Ag Rh
1 2 1
Cartesian
0.000 0.000 0.000
3.165 3.165 3.165
4.748 4.748 4.748
1.583 1.583 1.583
```

Raw total energy: -3.5825 eV/atom
SG: F-43m (216)

2.
## NaPmAlAu (GGA-PBE)

Data for a relaxed NaPmAlAu crystal.

POSCAR file:
```
NaPmAlAu
1.0
0.000 3.496 3.496
3.496 0.000 3.496
3.496 3.496 0.000
Na Pm Al Au
1 1 1 1
Cartesian
0.000 0.000 0.000
1.748 1.748 1.748
5.244 5.244 5.244
3.496 3.496 3.496
```

Raw total energy: -3.6391 eV/atom
SG: F-43m (216)

3.
## Sb2Rh (GGA-PBE)

Data for a relaxed Sb2Rh crystal.

POSCAR file:
```
Sb2Rh
1.0
1.914 -6.497 0.000
1.914 6.497 0.000
0.000 0.000 5.369
Sb Rh
4 2
Cartesian
1.914 5.835 4.027
1.914 2.066 4.027
1.914 -2.066 1.342
1.914 -5.835 1.342
1.914 2.556 1.342
1.914 -2.556 4.027
```

Formation energy (no corrections): -0.667 eV/f.u.
SG: Cmcm (63)

4.
## Cd3Se4 (GGA-PBE)

Data for a relaxed Cd3Se4 crystal.

POSCAR file:
```
Cd3Se4
1.0
11.096 -4.640 0.000
11.096 4.640 0.000
-3.796 0.000 9.663
Cd Se
12 16
Cartesian
6.260 1.801 1.127
8.862 2.715 3.365
11.096 3.072 0.000
10.726 3.055 7.682
12.304 1.929 4.334
6.260 -1.801 1.127
14.701 1.887 6.732
8.862 -2.715 3.365
11.096 -3.072 0.000
12.304 -1.929 4.334
10.726 -3.055 7.682
14.701 -1.887 6.732
-0.528 0.000 2.252
6.236 3.432 7.256
3.434 1.213 4.499
-1.399 0.000 9.550
9.996 1.808 5.572
3.434 -1.213 4.499
7.116 0.000 2.731
10.961 1.236 1.924
12.850 1.806 8.592
10.961 -1.236 1.924
17.433 1.205 3.318
14.229 0.000 4.735
9.996 -1.808 5.572
6.236 -3.432 7.256
12.850 -1.806 8.592
17.433 -1.205 3.318
```

Energy above the most stable polymorph in this dataset: 0.070 eV/atom
Formation energy (no corrections): -2.055 eV/f.u.
└──

Could you start at the top of the notes further above and write out each line, ending with the one that has "1.914 -6.497"?

No. 1
## CdHgPtI2 (GGA-PBE)

Data for a relaxed structure of CdHgPtI2.

Geometry as CIF:
```
data_CdHgPtI2
_chemical_formula_sum 'Cd1 Hg1 Pt1 I2'
_cell_length_a 5.890
_cell_length_b 5.890
_cell_length_c 5.228
_cell_angle_alpha 90.00
_cell_angle_beta 90.00
_cell_angle_gamma 90.00
_space_group_name_H-M_alt 'P 4/m m m'
_space_group_IT_number 123
_space_group_name_Hall '-P 4 2'
loop_
_atom_site_label
_atom_site_fract_x
_atom_site_fract_y
_atom_site_fract_z
Cd1 0.000 0.000 0.000
Hg1 0.500 0.500 0.500
Pt1 0.500 0.500 0.000
I1 0.000 0.500 0.500
```

- N(E_F) (states/eV/f.u.) = 5.104
- calculated volume (Å³/cell) = 181.3
- energy (eV for the cell shown) = -7.1

=====

No. 2
## Ba2CdCu (GGA-PBE)

Data for a relaxed structure of Ba2CdCu.

Geometry as CIF:
```
data_Ba2CdCu
_chemical_formula_sum 'Ba8 Cd4 Cu4'
_cell_length_a 8.998
_cell_length_b 8.998
_cell_length_c 7.994
_cell_angle_alpha 90.00
_cell_angle_beta 90.00
_cell_angle_gamma 90.00
_space_group_name_H-M_alt 'I -4 2 d'
_space_group_IT_number 122
_space_group_name_Hall 'I -4 2bw'
loop_
_atom_site_label
_atom_site_fract_x
_atom_site_fract_y
_atom_site_fract_z
Ba1 0.212 0.750 0.125
Cd1 0.000 0.000 0.500
Cu1 0.000 0.000 0.000
```

- N(E_F) (states/eV/f.u.) = 3.171
- energy relative to the elements (meV per atom) = 111
- calculated volume (Å³/cell) = 647.2
- energy (eV for the cell shown) = -33.6

=====

No. 3
## Li5H5Rh2 (GGA-PBE)

Data for a relaxed structure of Li5H5Rh2.

Geometry as CIF:
```
data_Li5H5Rh2
_chemical_formula_sum 'Li10 H10 Rh4'
_cell_length_a 9.328
_cell_length_b 2.984
_cell_length_c 7.852
_cell_angle_alpha 90.00
_cell_angle_beta 91.60
_cell_angle_gamma 90.00
_space_group_name_H-M_alt 'C 1 2/m 1'
_space_group_IT_number 12
loop_
_space_group_symop_operation_xyz
'x,y,z'
'-x,-y,-z'
'-x,y,-z'
'x,-y,z'
'x+1/2,y+1/2,z'
'-x+1/2,-y+1/2,-z'
'-x+1/2,y+1/2,-z'
'x+1/2,-y+1/2,z'
loop_
_atom_site_label
_atom_site_fract_x
_atom_site_fract_y
_atom_site_fract_z
Li1 0.000 0.000 0.000
Li2 0.139 0.000 0.551
Li3 0.223 0.500 0.829
H1 0.000 0.500 0.500
H2 0.044 0.000 0.763
H3 0.146 0.500 0.095
Rh1 0.059 0.500 0.283
```

- N(E_F) (states/eV/f.u.) = 2.311
- calculated volume (Å³/cell) = 218.5
- energy (eV for the cell shown) = -91.0

----------

1.
## ZnAg2Rh (GGA-PBE)

Data for a relaxed ZnAg2Rh crystal.

POSCAR file:
```
ZnAg2Rh
1.0
0.000 3.165 3.165
3.165 0.000 3.165
3.165 3.165 0.000
Zn Ag Rh
1 2 1
Cartesian
0.000 0.000 0.000
3.165 3.165 3.165
4.748 4.748 4.748
1.583 1.583 1.583
```

Raw total energy: -3.5825 eV/atom
SG: F-43m (216)

2.
## NaPmAlAu (GGA-PBE)

Data for a relaxed NaPmAlAu crystal.

POSCAR file:
```
NaPmAlAu
1.0
0.000 3.496 3.496
3.496 0.000 3.496
3.496 3.496 0.000
Na Pm Al Au
1 1 1 1
Cartesian
0.000 0.000 0.000
1.748 1.748 1.748
5.244 5.244 5.244
3.496 3.496 3.496
```

Raw total energy: -3.6391 eV/atom
SG: F-43m (216)

3.
## Sb2Rh (GGA-PBE)

Data for a relaxed Sb2Rh crystal.

POSCAR file:
```
Sb2Rh
1.0
1.914 -6.497 0.000